What were the 80s like?

Big hair, AIDS, drugs, AIDS, bad bad fashion, AIDS, Rick Astley, the greatest action films, AIDS, amazing cartoons, AIDS, fantastic toys, AIDS, AIDS, hoolaganism, AIDS, greed, AIDS, recession, AIDS, bad special effects, AIDS, skin heads, AIDS, the garbage pail kids, AIDS, fall of the Berlin Wall, AIDS, hairy hairy vaginas and AIDS.

Inserted here: data records
a) Density functional theory data (GGA+U) for a geometry-optimized V6O5F19 structure.

**SG**: P1
**Crystal system**: triclinic
**Magnetic moment**: 0.033 μB/atom

Cell: 5.383 5.587 14.941 Å, 100.54 89.60 93.60°
Fractional positions:
1 V 0.036 0.956 0.996
2 V 0.542 0.798 0.670
3 V 0.963 0.723 0.339
4 V 0.541 0.465 0.003
5 V 0.036 0.290 0.664
6 V 0.480 0.183 0.331
7 O 0.810 0.968 0.365
8 O 0.759 0.623 0.684
9 O 0.759 0.292 0.018
10 O 0.216 0.733 0.981
11 O 0.218 0.068 0.650
12 F 0.732 0.780 0.027
13 F 0.286 0.863 0.311
14 F 0.907 0.948 0.886
15 F 0.563 0.817 0.553
16 F 0.921 0.624 0.221
17 F 0.411 0.878 0.780
18 F 0.095 0.674 0.442
19 F 0.410 0.545 0.113
20 F 0.691 0.491 0.356
21 F 0.270 0.550 0.638
22 F 0.209 0.332 0.301
23 F 0.561 0.478 0.885
24 F 0.908 0.276 0.554
25 F 0.608 0.107 0.221
26 F 0.065 0.420 0.781
27 F 0.424 0.208 0.449
28 F 0.069 0.081 0.113
29 F 0.734 0.113 0.696
30 F 0.273 0.214 0.971

---

b) Density functional theory data (GGA+U) for a geometry-optimized V6O5F19 structure.

**SG**: P1
**Crystal system**: triclinic
**Magnetic moment**: 0.033 μB/atom

Cell: 5.305 5.526 14.817 Å, 100.18 90.00 90.68°
Fractional positions:
1 V 0.044 0.033 0.005
2 V 0.529 0.119 0.330
3 V 0.980 0.277 0.664
4 V 0.545 0.464 0.995
5 V 0.010 0.652 0.334
6 V 0.522 0.775 0.664
7 O 0.795 0.030 0.642
8 O 0.721 0.215 0.978
9 O 0.705 0.531 0.643
10 O 0.222 0.285 0.022
11 O 0.704 0.871 0.310
12 F 0.276 0.148 0.692
13 F 0.900 0.038 0.113
14 F 0.577 0.227 0.448
15 F 0.914 0.398 0.780
16 F 0.406 0.142 0.221
17 F 0.081 0.314 0.554
18 F 0.403 0.465 0.887
19 F 0.799 0.350 0.309
20 F 0.777 0.695 0.976
21 F 0.293 0.482 0.359
22 F 0.222 0.645 0.692
23 F 0.557 0.559 0.115
24 F 0.903 0.717 0.449
25 F 0.583 0.901 0.780
26 F 0.071 0.633 0.216
27 F 0.417 0.814 0.554
28 F 0.055 0.942 0.885
29 F 0.274 0.808 0.024
30 F 0.217 0.968 0.358

---

On energetic grounds, b) is preferred over the next structure by 0.7 kJ/mol of atoms.

---

a) Density functional theory data (GGA+U) for a geometry-optimized V6O11F structure.

**SG**: Amm2
**Crystal system**: orthorhombic
**Magnetic moment**: 0.389 μB/atom

Cell: 10.474 10.474 2.946 Å, 90.00 90.00 144.02°
Fractional positions:
1 V 0.009 0.991 0.000
2 V 0.171 0.829 0.500
3 V 0.499 0.501 0.500
4 V 0.661 0.339 0.000
5 V 0.335 0.665 0.000
6 V 0.821 0.179 0.500
7 O 0.069 0.931 0.500
8 O 0.708 0.710 0.000
9 O 0.290 0.292 0.000
10 O 0.971 0.635 0.000
11 O 0.640 0.971 0.000
12 O 0.597 0.403 0.500
13 O 0.269 0.731 0.500
14 O 0.731 0.269 0.500
15 O 0.399 0.601 0.500
16 O 0.365 0.029 0.000
17 O 0.029 0.360 0.000
18 F 0.935 0.065 0.500

---

b) Density functional theory data (GGA+U) for a geometry-optimized V6O11F structure.

**SG**: Amm2
**Crystal system**: orthorhombic
**Magnetic moment**: 0.389 μB/atom

Cell: 10.331 10.331 2.938 Å, 90.00 90.00 142.69°
Fractional positions:
1 V 0.999 0.665 0.000
2 V 0.166 0.500 0.500
3 V 0.500 0.166 0.500
4 V 0.665 0.999 0.000
5 V 0.318 0.318 0.000
6 V 0.849 0.849 0.500
7 O 0.066 0.601 0.500
8 O 0.696 0.363 0.000

I'm sure there are a few other minor things I have forgotten.

Oh yeah, AIDS.
A lot of people were out of work. A few people got really rich, and were worshiped by the masses. Computers changed everything. Games, music, art. Computers were the driving force and the inspiration. And that's why it was so revolutionary.
When Trump speaks of making America Great "Again"...he is referring to the 80's.


Yeah, having a President with Alzheimers was great. He'd read whatever they put on the teleprompter for a few jelly beans. The economy seemed good until it came time to pay the huge deficits that were run up. Billions to pay off the failed Savings and Loans after they were de-regulated. Billions for the Star Wars missile defense system that never came to be.

Life looks good when you're living on a credit card, until the bill comes due.
The last decade where you might steal a fredricks of hollywood catalogue in the mail as it was the closest to porn you could easily obtain.

Calculated crystals, as found in the file:
[1]
VASP calculation (r2SCAN) on crystalline ZrF4 at its relaxed geometry.

Properties
The value obtained for the magnetization is 0.0000 μB/atom. The total DFT energy (no corrections) comes out at -55.394 eV/f.u.

The structure in CIF format:
```
data_ZrF4
_chemical_formula_sum 'Zr4 F16'
_symmetry_space_group_name_H-M 'P 1 21/c 1'
_symmetry_Int_Tables_number 14
_symmetry_space_group_name_Hall '-P 2ybc'
_cell_length_a 5.581
_cell_length_b 5.605
_cell_length_c 7.973
_cell_angle_alpha 90.00
_cell_angle_beta 106.06
_cell_angle_gamma 90.00
loop_
_atom_site_label
_atom_site_type_symbol
_atom_site_fract_x
_atom_site_fract_y
_atom_site_fract_z
Zr1 Zr 0.212 0.167 0.170
F1 F 0.004 0.040 0.708
F2 F 0.142 0.658 0.522
F3 F 0.314 0.241 0.452
F4 F 0.481 0.042 0.734
```

=====

[2]
VASP calculation (r2SCAN) on crystalline ErPaO4 at its relaxed geometry.

Properties
The value obtained for the magnetization is 0.0000 μB/atom. The total DFT energy (no corrections) comes out at -159.157 eV/f.u.

The structure in CIF format:
```
data_ErPaO4
_chemical_formula_sum 'Er1 Pa1 O4'
_symmetry_space_group_name_H-M 'P 4/m m m'
_symmetry_Int_Tables_number 123
_symmetry_space_group_name_Hall '-P 4 2'
_cell_length_a 3.773
_cell_length_b 3.773
_cell_length_c 5.319
_cell_angle_alpha 90.00
_cell_angle_beta 90.00
_cell_angle_gamma 90.00
loop_
_atom_site_label
_atom_site_type_symbol
_atom_site_fract_x
_atom_site_fract_y
_atom_site_fract_z
Er1 Er 0.000 0.000 0.000
Pa1 Pa 0.500 0.500 0.500
O1 O 0.000 0.500 0.257
```

=====

[3]
VASP calculation (r2SCAN) on crystalline YbWO3 at its relaxed geometry.

Properties
The value obtained for the magnetization is 0.0004 μB/atom. The total DFT energy (no corrections) comes out at -115.839 eV/f.u.

The structure in CIF format:
```
data_YbWO3
_chemical_formula_sum 'Yb1 W1 O3'
_symmetry_space_group_name_H-M 'P m -3 m'
_symmetry_Int_Tables_number 221
_symmetry_space_group_name_Hall '-P 4 2 3'
_cell_length_a 3.944
_cell_length_b 3.944
_cell_length_c 3.944
_cell_angle_alpha 90.00
_cell_angle_beta 90.00
_cell_angle_gamma 90.00
loop_
_atom_site_label
_atom_site_type_symbol
_atom_site_fract_x
_atom_site_fract_y
_atom_site_fract_z
Yb1 Yb 0.000 0.000 0.000
W1 W 0.500 0.500 0.500
O1 O 0.000 0.500 0.500
```

=====

[4]
VASP calculation (r2SCAN) on crystalline CaTe at its relaxed geometry.

Properties
The value obtained for the magnetization is 0.0000 μB/atom. The total DFT energy (no corrections) comes out at -36.291 eV/f.u.

The structure in CIF format:
```
data_CaTe
_chemical_formula_sum 'Ca4 Te4'
_symmetry_space_group_name_H-M 'F m -3 m'
_symmetry_Int_Tables_number 225
_symmetry_space_group_name_Hall '-F 4 2 3'
_cell_length_a 6.392
_cell_length_b 6.392
_cell_length_c 6.392
_cell_angle_alpha 90.00
_cell_angle_beta 90.00
_cell_angle_gamma 90.00
loop_
_atom_site_label
_atom_site_type_symbol
_atom_site_fract_x
_atom_site_fract_y
_atom_site_fract_z
Ca1 Ca 0.000 0.000 0.000
Te1 Te 0.000 0.000 0.500
```

=====

[5]
Here the article continues:

The last decade where you may only personally know one person with a home computer.

Dude. You and I are soulmates.
I guess what comes to mind living in the 80s as a kid was the many new forms of entertainment. There was new music, home video games, fashion changing, new buildings going up at least in the city I lived in, etc. It was more of an optimistic time it seemed. For my family it was a bit scary for awhile as dad and my grandfather lost their jobs at the same time, but in the end things worked out. There was more humor in the 80s and for better or worse less PC.
Most of my favorite movies come from the 80's. Rest in peace John Hughes.

Yeah, having a President with Alzheimers was great. He'd read whatever they put on the teleprompter for a few jelly beans. The economy seemed good until it came time to pay the huge deficits that were run up. Billions to pay off the failed Savings and Loans after they were de-regulated. Billions for the Star Wars missile defense system that never came to be.

Life looks good when you're living on a credit card, until the bill comes due.

Heavy metal and rap ruled the airwaves. That's radio.
Women found a silly but slutty fashion. Martial arts was seeing a boom in popularity, as were action movies, one awesome flick after another, with explosions and one liners galore.
The electric guitar was God.
I played stand up video games in these things called arcades, they cost a quarter to play.
I had a hot Jewish girlfriend with enormous knockers, who wouldn't give it all the way up but gave constant, fantastic blowjobs.
I started going to Grateful Dead concerts as often as possible, and dropped hundreds of hits of LSD.
I also dipped blotter pages, but that's another story
Cars were at their worst, I remember that. I loved watching music videos as a kid and first crush was Martha Quinn.
I saw a couple of hoodrats driving an 80's grand Marquis this evening. All I could think of is "how is it even possible to be that poor yet resourceful enough to keep that pile of shit running?"

I've been in 'hoods all over the country the past 10 years and you rarely see a rusty piece of crap like you'd see in the 80's and 90's. Obama prolly hands them out like Oprah.
drugs/crack epidemic/miami vice
hairspray/big hair
music greatness - rap/heavy metal
action movies - Arnie, JCVD, Indiana Jones
berlin wall coming down

was a teen during mid to late 80's. great time to grow up.
So much nostalgia. So much feels.

The only other decade interesting to me was the 50's
Wasn't around for the 80s, as I was born in 89, but that's the decade I wish I was around for, a lot of my favorite music and movies are from that decade, 80s and early 90s are the fucking shit. I still cherish my childhood which was later 90s and early 2000s, but I wouldn't have minded being born to see the 80s, aside from being 10+ years older that is.
Jeans were tight, hair was big, cocaine was everywhere, music was fucking awesome.
I liked family ties.. also had other good comedies like Cheers, growing pains, Golden girls, Alf and Saved by the bell were cool as a kid..

ALF was really bad. I just got done watching an ALF marathon. But, it did seem awesome back then. I loved all those other comedies, but haven't revisited them except Cheers and Golden GIrls which still are great.